Haou Airen
Chapter One: Savior
"Good work today, Amu-chan. I'll see you tomorrow."
"See you tomorrow, boss." With a respectful bow, I headed out through the sliding doors of the convenience store and began walking home.
The air was crisp and sharp but had the slight scent of fried food. The cold wind stabbed me like a thousand knives, as I tightened my arms around me to keep the heat from leaving my body. Everything was enveloped in darkness except for the patches of light on the road from the streetlamps. The silent hums of the passing cars were soothing to my ears, as they harmonized with the clicks of my feet. Stray dogs and cats sang mournful melodies, begging for the day that they will find a warm home.
I stopped dead in my tracks. There was a group of men standing by the corner. In this kind of environment, they looked out of place clad in all black with their backs slouching and sneers on their lips. An ominous aura hovered over their heads, and I knew it was no longer safe to take the usual route to get home. I tried really hard to blend in with the background, hoping they wouldn't notice me there. I took a few quiet, careful steps backwards.
There was only one alternate way to get home, which was through the dark, smelly alleyway. I usually didn't go this way because of my unreasonable fear that someone may be lurking in the darkness. With danger staring me in the face, I had no other choice but to face my fears to save myself.
When I was only a few steps away from the alley, one of the men noticed my presence.
"Boss, there's a girl over there. She's alone."
All the men looked in my direction, their beady eyes boring holes through my body. I couldn't breathe, nor could I walk anymore. I stood there helpless like a deer in headlights.
"Hey there, little girl. You're cute, aren't you? Can you come over here? We'd like to ask you a few questions. Don't worry, we won't bite." His sugar-coated words beckoned to me. When I didn't budge, the man's smile turned into a frown. With a wave of his hand, the rest of the men positioned themselves to run. "Get her."
Before I even had time to blink, they were sprinting towards me with their eyes like savaged beasts. Instinct kicked in as I sprinted through the alley and rounded the corner into another one.
From a distance, I could hear their conversation. "Boss, we lost her. She's a fast runner."
"You idiot. How could you let her get away? She might know where that goddamned man is hiding! You must find him and kill him, you understand me?" The voice demanded fiercely. In unison, the rest of the group screamed yes, as their footsteps faded into the distance.
I let out a sigh of relief.
Suddenly, footsteps were heading towards me. I backed up against the brick wall, blending in with the darkness.
"Boss, I think I saw him run in here!" The footsteps were getting closer, each click of his shoes more daunting than the previous. My breathing was becoming shallow, and my heart felt as if it would leap off of my chest. When he was only a few more steps away, I prepared myself to scream.
Before I even had time to suck in air, a hand was clasped over my mouth and an arm anchored me against a person. "If you scream, I swear to God, I will kill you," A man whispered viciously in my ear. His hot breath tickled my skin and sent shivers down my spine. We stood like that for what felt like hours, as our heart beats pounded in synchronization. The tension and anxiety made my entire body tremble, as I tried to hold back the tears. Was he really going to kill me?
"Come back here, you idiot! There's nothing over there!" A different man from the same group commanded. The footsteps from before faded into the distance, leaving me alone with the malicious stranger.
Though the previous threat was gone, he still didn't let go in fear of me giving away our position. "I don't want to kill you, but I will if you give me reason to. Do we have an understanding?" I gave a slight nod in response. He let go, and the warmth from his body was replaced by the bitter cold. "Don't let them find you," He warned as he walked deeper into the alleyway.
I couldn't move. My heart kept pumping faster and faster, the adrenaline rushing through my veins. My body was numb from the cold, but also from the shock. Did that really just happen?
When I finally found my legs, I began walking away. From behind me, there was a grunt of pain and a huge thump that followed right after, the sound of someone falling. I stopped in my tracks again, contemplating whether or not I should go back. If I left now, I could save myself from the danger and get home safely. On the other hand, that man could've been in trouble. Wouldn't it be better to be safe than sorry? Could I really be selfish and just leave the man who saved me? Both my good and bad conscience were in a raging argument, like devils and angels.
My heart ached.
Without giving it a second thought, I chose righteousness, though I knew I'd go to hell for it. I ran deeper into the alley in search of him. Though I had to strain my eyes to see, the moonlight guided me towards him. There he was on the floor clutching his gut. I could just make out his shallow breathing, indicating he was still alive. There was a puddle of water beneath him, but with closer inspection, I realized it was blood. The reek of iron made me flinch, but I ignored it and lifted him off the ground gingerly. He gave out grunts of pain but endured. I let him lean against me, as I searched his body for the wound. He was bleeding from both his arm and his gut.
This was getting dangerous; the loss of blood could kill him at any moment. I lacked the medical equipment to help him, so I needed to improvise. I took off my jacket and ripped off one of the sleeves from the seams. The arm of my jacket was wrapped around the wound on his arm and the rest was wrapped around his gut. That would slow down the loss of blood, but I was running out of time. I needed to get him to my house to treat his injuries. Thankfully, my house was only three blocks away from our current location.
As he leaned against me for support, we walked towards my house. Every step was agonizing, especially since he'd wince and grunt from the pain. We pressed on, going as fast as his legs would let him. I was always on the look out for the strange men, but they never came. In ten minutes time, we were at my front door. Quietly, I unlocked the door and stepped inside. The lights were all off, and the quiet breathing upstairs indicated that my little sister was sleeping.
Quickly yet carefully, I placed him onto the futon on the floor then rushed to retrieve the medical supplies. Next, I needed to strip him of his clothes in order to gain access to his wounds. I was hesitant; I had never seen a boy naked before. Shaking off the thought, I told myself that I had no other choice and proceeded to take off his clothes. The blood rushed to my face at the sight of his broad chest.
He was still breathing heavily and sweating bullets. His expression was pained, like he wanted to die to end his suffering. I wasn't going to let that happen.
When I looked at his stomach, I saw that the wound was much worse than I had expected. Blood was gushing to the floor, staining the white futon sheets. I wiped the blood away with a cloth and proceeded to apply alcohol of the injury. He yelled in agony but was trying to restrain himself. Hoping it would dull the pain, I gave him some strong painkillers to drink, which knocked him out completely unconscious. I then added some disinfectant and more herbal remedies to the swelling wound. I did the same to the injury on his arm. When the swelling stopped, I took my needle and thread and began stitching up the wound on his stomach and his arm. Right after, I wrapped bandages over the stitches carefully.
My heart calmed down as I let out a sigh of relief. Then, realization dawned on me. I saved him, I actually saved his life. I mentally gave myself a pat on the back for a job well done.
I glanced at the sleeping man before me. His long navy hair was ruffled, with his bangs casting shadows over his face. His eyelashes were long and full, which made me quite jealous. The expression on his face was peaceful. Out of curiosity, my eyes wandered over to his half naked body. His chest was broad, and his arms were toned with muscle. Underneath the bandages, I could tell that he had washboard abs. His olive skin glittered with the beads of sweat. How could a man be so beautiful? It seemed too impossible.
Exhaustion was getting the better of me, making my sight hazy. I could no longer hold on as I succumbed to my fatigue.
The light streaming through the window blinded my eyes, causing me to wince. I felt drowsy and didn't wish to get up, as I moaned in exasperation. There was a chuckle; the voice sounded so familiar yet I couldn't put a name to it. Curiously, I opened my eyes slowly, only to meet with piercing, dark blue orbs. The eyes sparkled in the sunlight like the ocean.
"Enjoying the view?"
Only when I processed those words did I realize I was staring, which was really impolite. I felt like an idiot. "Um, sorry. I'll go make some breakfast." I purposely avoided his gaze and headed towards the kitchen. He chuckled again, only this time I saw him smile.
Records of crystals from another source follow >
<<<
The following is a simulated powder diffractogram of KLaHgTe3. It was derived from a PBE-relaxed structure, using a wavelength of 1.5418 Å.
No peak broadening, texture or thermal motion is included.

Main lines, in order of falling intensity (10° ≤ 2θ ≤ 90°):
Position (°2θ), I (rel.)
26.73, 100
26.13, 55
37.68, 53
38.69, 31
32.18, 29
19.56, 28

Structural model:
a b c (Å): 10.7613 10.7613 9.5611
angles (deg): 102.78 102.78 24.98
Positions (direct):
K 0.1326 0.1326 0.0745
K 0.8674 0.8674 0.9255
La 0.1715 0.1715 0.5837
La 0.8285 0.8285 0.4163
Hg 0.4641 0.4641 0.2768
Hg 0.5359 0.5359 0.7232
Te 0.0000 0.0000 0.5000
Te 0.3239 0.3239 0.1787
Te 0.3267 0.3267 0.6419
Te 0.5000 0.5000 0.0000
Te 0.6733 0.6733 0.3581
Te 0.6761 0.6761 0.8213



The following is a simulated powder diffractogram of YHo2Cu4Sn4. It was derived from a PBE-relaxed structure, using a wavelength of 1.5418 Å.
No peak broadening, texture or thermal motion is included.

Main lines, in order of falling intensity (10° ≤ 2θ ≤ 90°):
Position (°2θ), I (rel.)
34.23, 100
33.32, 99
40.53, 47
33.17, 27
36.76, 24
45.36, 24

Structural model:
a b c (Å): 8.4085 8.4085 8.4085
angles (deg): 149.30 131.30 58.68
Positions (direct):
Y 0.0000 0.0000 0.0000
Ho 0.3692 0.8692 0.5000
Ho 0.6308 0.1308 0.5000
Cu 0.0172 0.3288 0.6884
Cu 0.3596 0.6712 0.6884
Cu 0.6404 0.3288 0.3116
Cu 0.9828 0.6712 0.3116
Sn 0.2163 0.2163 0.0000
Sn 0.2970 0.5000 0.7970
Sn 0.7030 0.5000 0.2030
Sn 0.7837 0.7837 0.0000



The following is a simulated powder diffractogram of PrGeHO4. It was derived from a PBE-relaxed structure, using a wavelength of 1.5418 Å.
No peak broadening, texture or thermal motion is included.

Main lines, in order of falling intensity (10° ≤ 2θ ≤ 90°):
Position (°2θ), I (rel.)
25.80, 100
33.38, 84
59.76, 33
29.61, 30
45.45, 27
33.69, 24

Structural model:
a b c (Å): 5.3208 12.0694 4.8981
angles (deg): 90.00 90.00 90.00
Positions (direct):
Pr 0.0000 0.1206 0.2500
Pr 0.0000 0.8794 0.7500
Pr 0.5000 0.3794 0.7500
Pr 0.5000 0.6206 0.2500
Ge 0.0000 0.3920 0.2500
Ge 0.0000 0.6080 0.7500
Ge 0.5000 0.1080 0.7500
Ge 0.5000 0.8920 0.2500
H 0.0000 0.3021 0.7500
H 0.0000 0.6979 0.2500
H 0.5000 0.1979 0.2500
H 0.5000 0.8021 0.7500
O 0.1060 0.2998 0.5243
O 0.1060 0.7002 0.0243
O 0.2399 0.0430 0.6089
O 0.2399 0.9570 0.1089
O 0.2601 0.4570 0.1089
O 0.2601 0.5430 0.6089
O 0.3940 0.2002 0.0243
O 0.3940 0.7998 0.5243
O 0.6060 0.2002 0.4757
O 0.6060 0.7998 0.9757
O 0.7399 0.4570 0.3911
O 0.7399 0.5430 0.8911
O 0.7601 0.0430 0.8911
O 0.7601 0.9570 0.3911
O 0.8940 0.2998 0.9757
O 0.8940 0.7002 0.4757

* * * * *
>>>
My heart skipped a beat. That was the first time I saw him smile.
"There's no need to make breakfast. I'll be leaving soon, anyway," He said apathetically, his smile disappearing.
I looked up only to see him walking towards me. "You shouldn't move around yet. You'll open your wounds," I warned worriedly, but he wouldn't take heed in my words. He kept on walking, a smirk playing on his lips.
"You know, before I leave I should give you a present for saving me." I was beginning to get nervous. Could I really trust a man who threatened to kill me?
His face was inches away from mine, making me quite uncomfortable. As if he could read my thoughts, his eyes searched through mine, looking for any hint of resistance.
I couldn't help myself; I needed to know. "What's your name?"
He was taken aback by the question, but answered nonchalantly. "Ikuto."
Without warning, he leaned in and kissed me. I didn't know whether or not that was his real name, but I didn't care. His lips were soft against mine and tasted like peaches. His sweet scent enveloped me, filling my nostrils with such a pleasant fragrance of cologne. We kissed for what felt like hours. I couldn't stop myself from deepening the kiss, for I was too infatuated. Suddenly, his tongue slipped into my mouth and pushed something deep into my throat. When I swallowed, I realized it was a pill.
"We'll meet again, Amu-chan." He whispered huskily into my ear, his hot breath making my skin tingle with pleasure.
My eyesight became hazy and I got dizzy. Before I could comprehend what was happening, I fell to the floor and surrendered to the darkness.
Author's Notes: I hope you guys enjoyed the first chapter! I know I enjoyed writing it! Please remember to review if you want the second chapter!
Disclaimer: This story is based off of the manga Haou Airen by Mayu Shinjo. All rights belong to her. Also, I do not own Shugo Chara. I own nothing. Thank you.